Artificial Intelligence - Review
For some, artificial intelligence (AI) may just exist in futuristic worlds like Matrix or in evil androids such as HAL 9000 or Terminator. But actually, AI is in your pocket. It filters your spam, helps you choose what to watch on Netflix and may answer if you say “Siri” or “Alexa” out loud.
AI was first envisioned in 1950 by Alan Turing, who wrote a scientific article where he questioned whether machines are able to think. From that seminal work, researchers have managed to create computer systems capable of performing tasks that would normally require human intelligence. This is what we call artificial intelligence.
But how does AI work? The broad rule of AI is to learn from examples, gathering information and finding patterns to make general rules. For example, Siri is an AI system that’s been given a huge number of different questions (with its answers), so it can recognize a specific question we ask and select the appropriate answer for us.
More complex AI systems are able to complete tasks using just logic and general data. A self-driving car, for example, uses computer vision and image recognition to gather information from its surroundings and decide whether to turn left, brake or accelerate.
AI is faster and more reliable than humans, and is always available. This might explain why AI has made its way into healthcare, education, finance, law or manufacturing. However, legal, ethical and security concerns have also arisen.
To better understand the benefits, disadvantages or dangers of AI, this month we have asked experts all about it. Can we trust self-driving cars? Can AI improve our health and our society? How similar can it be to a human being? Could AIs be a real threat to us? Here is what we learned.
40,000: number of AI-related scientific studies published in 2019.
12 billion: spending on AI in Europe in 2021 (dollars).
77: compounds identified by AI that can halt coronavirus spread.
15.7 trillion: predicted AI contribution to the global economy by 2030 (dollars).
99%: percentage of accuracy of AI in detecting metastatic breast cancer.
85 million: jobs taken by AI.
97 million: jobs created by AI.
40%: percentage of increase in productivity attributed to AI.
Beethoven's AI
Beethoven's 9th symphony is considered his greatest work and one of the most celebrated musical compositions. Beethoven's music was getting better with age and experience. Everyone was eagerly awaiting his 10th symphony which he was writing when he died in 1827, aged 56. Could others finish writing the 10th symphony?
Beethoven scholars have attempted to complete it, but Artificial Intelligence has dared to finish the job. Dr Ahmed Elgammal from Rutgers University started this project in 2019 together with composers, computational music experts and musicologists. But how?
Following the general rule of how AI works, based on acquiring a huge amount of data, analyzing patterns and classifying them. For each pattern, AI then creates rules or instructions that will be used to solve specific problems or answer specific questions. In this particular case, researchers took the whole of Beethoven's work along with the few available sketches from his 10th symphony, and programmed an AI to work out how it was that Beethoven was composing.
The 'Beethoven AI' was able to learn how to take a short musical fragment and develop it into a longer and more complicated one, just like Beethoven. Believe it or not, the AI learned how Beethoven composed his 5th symphony out of just the initial four notes.
Of course, many other challenges appeared. The AI had to learn how Beethoven harmonized a melody, how he linked the different parts of a symphony or even how he assigned different instruments for each part). They literally had a machine learn the genius’ creative process inside out, to create something that Beethoven himself might have written. The results are impressive.
While voice assisting AIs (weak AI) are only able to respond to very specific tasks, this project developed what’s known as a strong AI, able to use fuzzy logic to apply knowledge from one domain to another. Some may think that AIs will never get closer to Beethoven's irreverent and supreme genius, that they should not try to replicate or even replace human creative process. Others see AI rather as a tool to get closer to art. But can they really do art?
(Calculated crystals, kept here for reference)
[1]
This record from Alexandria describes an optimized crystal structure of Te2IrOs. The functional is PBE.

Properties
The calculation puts the total energy at -5.866 eV/atom. Its crystal system is orthorhombic. The energy above the most stable polymorph in this dataset comes out at 13.48 kcal/mol of atoms. For the uncorrected formation energy, the calculation gives 0.7271 eV/atom. Its space group is Imm2, No. 44. As for the total magnetization: 0.0 μB/f.u.

Cell lengths 5.9398, 5.9398, 5.9398 Å; angles 150.41, 131.11, 58.19 degrees
Last column: nearest neighbours and their distance in Å.
Element x y z (fractional)
Te 0.7278 0.2278 0.5000  4 Os 2.91, 2 Ir 2.98, 4 Te 3.03-3.22
Te 0.0282 0.0282 0.0000  2 Os 2.87, 4 Ir 2.93, 4 Te 3.03-3.22
Ir 0.4806 0.4806 0.0000  2 Os 2.72, 6 Te 2.93-2.98, 2 Ir 3.03
Os 0.2634 0.7634 0.5000  2 Ir 2.72, 6 Te 2.87-2.91, 2 Os 3.03

[2]
This record from Alexandria describes an optimized crystal structure of TeIr2Os. The functional is PBE.

Properties
The calculation puts the total energy at -7.301 eV/atom. Its crystal system is orthorhombic. For the uncorrected formation energy, the calculation gives 0.7227 eV/atom. Its space group is Pmmm, No. 47. As for the total magnetization: 0.0 μB/f.u.

Cell lengths 2.8880, 4.7531, 4.7790 Å; angles 90.00, 90.00, 90.00 degrees
Last column: nearest neighbours and their distance in Å.
Element x y z (fractional)
Ir 0.0000 0.0000 0.0000  6 Ir 2.78-2.89, 4 Os 2.79
Ir 0.5000 0.5000 0.0000  6 Ir 2.78-2.89, 4 Te 2.79
Te 0.0000 0.5000 0.5000  4 Os 2.78, 4 Ir 2.79, 2 Te 2.89
Os 0.5000 0.0000 0.5000  4 Te 2.78, 4 Ir 2.79, 2 Os 2.89

[3]
This record from Alexandria describes an optimized crystal structure of TeIr2Os. The functional is PBE.

Properties
The calculation puts the total energy at -7.509 eV/atom. Its crystal system is orthorhombic. For the uncorrected formation energy, the calculation gives 0.5141 eV/atom. Its space group is Pmmm, No. 47. As for the total magnetization: 0.0 μB/f.u.

Cell lengths 3.8693, 2.8938, 6.5943 Å; angles 63.98, 90.00, 90.00 degrees
Last column: nearest neighbours and their distance in Å.
Element x y z (fractional)
Os 0.5000 0.2500 0.2500  8 Ir 2.75, 2 Os 2.89, 2 Te 2.96
Te 0.5000 0.7500 0.7500  2 Te 2.89, 8 Ir 2.93, 2 Os 2.96
Ir 0.0000 0.5293 0.4710  3 Ir 2.62-2.89, 4 Os 2.75, 4 Te 2.93
Ir 0.0000 0.9707 0.0290  3 Ir 2.62-2.89, 4 Os 2.75, 4 Te 2.93

[4]
This record from Alexandria describes an optimized crystal structure of TeIr2Os. The functional is PBE.

Properties
The calculation puts the total energy at -7.455 eV/atom. Its crystal system is orthorhombic. For the uncorrected formation energy, the calculation gives 0.5680 eV/atom. Its space group is Pmm2, No. 25. As for the total magnetization: 0.0 μB/f.u.

Cell lengths 2.9200, 3.7901, 6.0165 Å; angles 90.00, 90.00, 90.00 degrees
Last column: nearest neighbours and their distance in Å.
Element x y z (fractional)
Ir 0.0000 0.0000 0.0218  1 Os 2.65, 6 Ir 2.79-2.92, 4 Te 2.88
Can AIs forget?
Our brains can play us false in many ways, but forgetting things is certainly one of the most common. It can be annoying when you forget your keys at home or miss an anniversary, or when you blank at that sentence when giving a presentation. It can get worse than that, when it comes to getting ill and forgetting life memories, people's faces or who we are. Will AIs be able to bypass the passage of time and never forget? Or, on the contrary, will they be as forgetful as we are?
Dr David Tuffley from Griffith University writes that AIs can actually forget if we program them to do so, “to forget information that corresponds to certain defined criteria.” This view is shared by Prof Mark Lee from Aberystwyth University, who stresses that “although computer hardware chips have perfect memory, it is possible to design any computer program to forget, so, in principle, an AI system can forget too.” Still, Dr Tuffley also points out that AIs may be immune to the breakdown in memory that we humans suffer as a consequence of disease or age, since “silicon based neural networks do not suffer the same degradation over time as organic neural tissue.”
However, forgetfulness may get more complicated than that, and AIs could actually forget. According to Prof Kate Senko from Boston University, “something like 'forgetting' can happen if an AI program is continuously adjusted on new data but has limited storage, so that the older program becomes overwritten with the new one.” Prof Senko points out that, of course, “an AI program does not need to forget if there is infinite storage available,” but such infinite space is not currently available to AIs. Prof Senko uses her own research as an example: “if we keep adjusting AI to new languages, then eventually it might 'forget' how to recognize the earlier language, meaning it would have worse recognition accuracy.”
This is what Prof Scott Fahlman from Carnegie Mellon University calls “catastrophic forgetting.” Fahlman explains that this process occurs when “you train a network on one task or set of data, and then move to a different task.” In such a scenario, “performance on the first task can be degraded or ruined.” Prof Fahlman presents this as one of the most pressing challenges and writes that AI researchers “are working to combat” it. Meanwhile, Prof Lee argues that this process puts a spotlight on “how unlike human memory such AI memories can be.”
Can AIs discriminate?
We all want a fair society where important decisions (including those made by politicians and judges) are free from subjective opinions or prejudice. The problem is that those decisions are made by a human being who will, most probably, have opinions that may bias the final verdict. One wonders if we couldn’t use AIs to remove any chance of prejudice and bias. However, can AIs indeed avoid discrimination?
We hate to break the bad news, but AIs seem to discriminate. Prof Zdenka Kuncic from the University of Sydney writes that AIs will discriminate “if the data provided is biased.” Dr David Tuffley agrees, and uses the following example to make this point: “if the data suggest that most doctors are men based on 1970’s data, whereas the reality in 2021 is that there are at least as many female doctors as male, then the AI could be accused of discrimination against women in assuming most doctors today are men.” However, Dr Tuffley stresses that the source of this discrimination is that present in the data the AI is trained with, which is very much human-dependent. He reminds us that “AI is subject to the limitations of its training data” so, at the end of the day, “AI does discriminate in the same way that humans do.”
Prof Mark Lee explains this issue further by bringing us back to the basics of AI. He points out that “one of the oldest and most studied techniques in AI is classification. A classifier system attempts to learn the differences between patterns of data and then sort any new examples into different classes.” According to Prof Lee, “this is discrimination and it can be applied to any data, given suitable criteria for dividing up the classes.” He admits that this is a huge problem with a difficult solution, as “these systems learn their discrimination function through training on very large sets of examples, often millions of examples. The training process is too machine intensive for humans to follow in detail and the end result may contain some forms of unknown bias or partiality.”
Finally, Prof Kay Kirkpatrick from the University of Illinois proposes a way to tackle this unintentional discrimination, which involves humans countering it from the get-go. In her view, we need to assume “that an AI will discriminate by default and to plan on removing the bias in early testing and getting feedback after deployment for continued reduction of bias.”
Can AIs feel emotions?
Few things are more human than love, sadness or boredom. Emotions. That is precisely why, when we think about AI - a machine, after all - having that sort of feelings, we may feel troubled. Would they feel so as well?
The answer is, probably not. Prof Mark Lee writes that “AI systems can detect emotions when looking at human faces. They can analyze gestures, posture, and tiny facial muscle movements to build up a picture of an emotional state.” However, “they cannot feel emotions themselves,” he argues. Prof Lee still admits that “it's always possible to write a program that simulates a type of behavior” but considers that this would be “just a trick.” Dr David Tuffley agrees. He goes on to explain that “this is so-called “affective computing” and that it is a rapidly developing discipline, which aims to create anthropomorphic-like AIs for use in androids. Also for disembodied voices, he says,such as the ones you find when you use Google Assistant, Alexa or Cortana. Prof Kate Saenko provides an example: “a synthetic AI-based avatar can produce facial expressions like smiling.”
It’s all very well saying that AIs can display emotions, but how to make sure? Assessing their emotions is, according to experts, an issue by itself. Prof Roman Yampolskiy from the University of Louisville writes that “it is not obvious how that [feelings] can be measured.” Along the same lines, Prof Scott Fahlman is uncertain on whether AIs can feel emotions, but also raises another, very important point: even if AIs were to have feelings, we may not feel them as genuine as those of fellow humans. Indeed, he argues that this ultimately depends on how we consider others' feelings. Prof Fahlman proposes that “I know that I feel emotions - I can feel them. Other humans claim to feel emotions similar to mine, and appear to act in emotions in ways similar to what I would do.” This is, according to Prof Fahlman, why he likes to give people the benefit of the doubt. Now, would this soften our judgement when it is a machine that is on the other end of the line? For him, it would be down to us whether we accept whichever emotions we manage to create in AI systems as genuine, even assuming that “it's possible to make an AI system, or even a simple ‘chatbot’ claim and appear to feel similar emotions in similar circumstances” as a fellow human would. Curious about his personal take on it? “I think that these are as real as your emotions (though probably much simpler), but not as real (to me) as my emotions,” Prof Fahlman concludes.
Is AI an existential threat to humanity?
The first of Asimov’s Laws reads: “A robot may not injure a human being or, through inaction, allow a human being to come to harm.” This is only a rule devised by a science fiction writer, of course, but it has largely influenced the ethics of AI. To what extent is this law in action? Are we in danger?
In reality, it is extremely unlikely that AIs will deliberately harm any of us. Prof Yingxu Wang from the University of Calgary reminds us that “professionally designed AI systems and products are well constrained by a fundamental layer of operating systems.” He points out that international standards are being developed to restrict “permits for AI systems on potentially harmful behaviors to humans or the environment.” Dr George Montanez from Microsoft agrees and he adds that “AI systems are a long way from cracking the hard problem of consciousness and being able to generate their own goals contrary to their programming.” Still, he makes an important remark when it comes to the danger of AI: “it becomes dangerous in the same way a gun is dangerous - not because it is sentient or autonomous, but because of the intentions of the person wielding it.”
In these same lines, Dr Dipan Pal from Carnegie Mellon University warns that AI may be dangerous “if we apply it to problems prematurely.” Another problem may arise if villains take over, of course. We might be in trouble “if people who understand the technology well do not have the best of intentions or do not completely grasp the large scale long term implications of the application,” warns Dr Pal. In order to minimize those risks, he stresses the importance of really understanding AI, including the technology itself and its implications. He claims that ”once enough people understand it, humanity as a whole is safer since for any AI threat, there is likely an equally powerful AI (or otherwise) solution to neutralize it.”
Dr Matthew O’Brian from Georgia Institute of Technology stresses that the potential of AI is enormous, as “we have made true general AI, an entity with intelligence that rivals or surpasses our own.” Experts agree that it is people that fail to understand the limitations of AIs that we should be wary of, as well as the risk of these systems falling in bad hands. They also argue, in the same breath, that we don’t need to fear any harm from AIs themselves. Why? As Prof Scott Fahlman points out, “humans evolved as social animals with instinctual desires for self-preservation, procreation, and (in some of us) a desire to dominate others.” However, “AI systems will not inherently have such instincts and there will be no evolutionary pressure to develop them,” he argues, “since we humans would try to prevent this sort of motivation from emerging.”
Quick Answers
Are driver-less cars dangerous to introduce onto our roads, at this time? Current car crash statistics show that the self-driving AI technology implemented so far actually reduces the risk of crashes. However, this technology is still in early stages and needs improvements on car-to-car communications and specific infrastructures. Either way, at the minute, human drivers are still behind the wheel, which helps in situations that need intuition.
Can AIs lie? AIs may lie, say our experts, but never deliberately. Non-intentional lies could be produced if they lack enough data or if the data we give them are wrong, which ends up with AIs giving false or incomplete answers. On top of that, we humans can program AI to select the wrong answer while knowing which is the correct one.
Can AI be used in medicine? Definitely. AI systems are currently used to diagnose diseases or prescribe drugs based on large arrays of medical images, genomic sequencing or combinations of specific symptoms. AI can also assist in surgery or in the testing of biological samples, speeding up diagnoses or the development of new drugs. Of note, although in many of these tasks AI can outperform humans, experts argue that collaboration between AI and humans renders the best results.
Can AI speed up the development of poorer countries? Yes. Although it will require monitoring strategies, control of usage and efficient logistics, AI can help improve life conditions of people in poorer countries. AI can help finding water, monitoring crops, spotting disease outbreaks, or assisting in school settings. Still, experts stress that this is not magic, but just a tool that humans have to invest in and use properly to provide benefits.
Will we ever make an AI with consciousness? Defining consciousness is a complex matter. If we go with one of the most common definitions (having subjective experiences), some think that we do have mathematical approaches to equip AIs with consciousness. However, others disagree and argue that, even if we could do so, detecting consciousness in AI would not be possible.
Do algorithms outperform us at decision making?
Yes, they certainly can! Consider programs that play games like chess or Go. These AI systems have now reached grandmaster level and have beaten the world's best human players. The search algorithms used in chess can analyze millions of possible moves in seconds and this allows them to see much further ahead in the game than humans can manage. This produces excellent decisions and many game playing programs can now learn to play a game from scratch and quickly become champion players. However, games are a very constrained kind of problem. In a board game everything is well defined and consistent – nothing else happens other than pieces are moved!
In the real world, in our human environment, there are all kinds of problems for algorithms to overcome. Just deciding where to take a holiday, for example, can be influenced by weather forecasts, geographic choices, travel convenience, personal preferences, interactions with family and others, calculations of acceptable budgets of time and cost, etc. These are not straightforward yes or no issues, unlike making a move in chess, but involve uncertainty, missing information, and value judgements. Algorithms that attempt to replace general human decision making have not been successful. AI research is working in many areas that help us to make decisions, perhaps the most useful is in providing relevant information, but the subtly of the human mind still beats machines in many ways. So, yes, algorithms can massively outperform humans, but only in certain limited contexts and restricted applications.
Emeritus Professor Mark Lee
Professor of Intelligent Systems in the Department of Computer Science at Aberystwyth University
AIs are no existential threat to us - phew. They are thought to have created more jobs than they’ve taken, too.
They are pretty much everywhere, both in “bodied” forms (like the futuristic androids you see on the Internet) and “disembodied” forms (the much more widespread chatbots and voice assistants).
They are not exempt from biases, though. They are programmed by humans and trained with human-selected datasets, so better not give them final say on important decisions.
They can give us wrong answers as well, whether they have been programmed to lie or because they have been trained with defective data.
AIs can show emotions, but experts are split on whether they feel them - or indeed, on whether we would give them credibility if they did, knowing that AIs aren’t human.
AI systems can and are used for good and evil, and they have already proven themselves crucial for medicine, agriculture and mass surveillance.
Experts agree that we should think of AI just as a very powerful tool, and it is for us to decide where and how to apply it. Humans are behind these systems and so it is down to us, in the end, what to make of them.